Source >
-- begin --
Density functional theory data (ωB97M-V/def2-TZVPD) for C21H40NO11S2 as an isolated structure.

The geometry in XYZ format:
```
75
Properties=species:S:1:pos:R:3:forces:R:3:lowdin_charge:R:1
S -0.0201 3.7004 0.1171 1.0 2.7 -3.4 0.594
S 1.5633 1.4490 0.4671 -2.4 -0.9 0.2 0.632
O 0.1106 5.1944 0.0354 0.0 -2.5 1.1 -0.409
O 0.5969 0.6873 -0.3948 1.9 1.5 1.3 -0.379
O -5.6420 2.7929 -1.8422 -0.4 -0.1 -0.3 0.080
O -6.6400 2.7823 -3.8441 -0.1 0.0 0.1 0.056
O 3.1850 -0.0404 -1.1338 0.4 0.3 0.4 -0.194
O -0.7044 3.2293 -1.1199 0.5 -0.2 2.4 -0.383
O 1.4185 1.0670 1.9137 0.7 1.1 -2.0 -0.410
O -7.8545 2.3897 -1.9863 -0.1 0.0 0.0 0.152
O 4.6549 -3.6741 0.7303 0.1 -0.2 0.1 0.165
O 5.9332 -3.2109 -1.0632 0.1 0.0 0.2 0.062
O 6.8457 -3.2060 0.9809 -0.1 -0.1 -0.3 0.088
N 1.5484 3.1024 0.1935 -1.5 -1.9 0.9 -0.350
C 5.7073 -3.3936 0.2626 -0.3 -0.1 0.1 -0.561
C 3.2518 0.8322 -0.0462 0.3 0.3 0.3 -0.261
C -0.6246 -2.1467 0.0368 -0.6 -0.7 0.4 -0.210
C -1.1275 -2.9671 3.5295 0.8 0.1 0.1 -0.118
C -5.3274 3.3195 -4.0398 0.0 -0.1 -0.4 -0.105
C 7.9277 -3.1179 0.0481 0.7 0.4 0.2 -0.341
C 0.0522 -2.7741 2.4925 -0.4 0.5 0.7 -0.226
C -4.5926 2.8296 -2.8233 0.9 0.5 0.1 -0.325
C 9.0061 -2.1866 0.5550 0.0 -0.1 0.5 -0.025
C -2.4241 2.8479 1.3611 0.2 0.0 -1.1 -0.212
C -3.4619 3.7310 -2.3822 -0.2 -0.1 0.5 -0.013
C -6.8119 2.6305 -2.5054 0.0 -0.1 0.3 -0.565
C -2.1522 -2.4876 -0.0557 0.8 0.2 -0.9 -0.195
C 2.9619 -1.3811 -0.7208 -0.5 -1.0 0.0 -0.089
C -3.0534 -1.2868 -0.5356 -0.6 -1.2 1.0 -0.177
C -2.4628 1.4328 0.6874 -0.9 0.6 -0.6 -0.208
C 7.2304 -2.6281 -1.1922 0.0 0.0 -0.5 -0.100
C -3.9014 -0.7689 0.6818 -0.8 1.0 -0.8 -0.197
C -0.9798 3.3558 1.6350 -0.5 -0.8 1.1 -0.234
C -0.2130 -1.6320 1.4502 0.6 -0.7 -0.5 -0.216
C -3.8666 0.7807 0.8930 0.4 -0.1 1.0 -0.197
H -2.4553 -2.8895 0.9340 -0.2 0.3 -0.6 0.094
H -4.8957 2.9455 -4.9673 -0.2 -0.1 0.0 0.137
H -4.1497 0.9596 1.9610 0.0 -0.1 -0.6 0.100
H 7.7139 -2.9700 -2.1066 -0.2 -0.1 0.0 0.138
H 9.5229 -2.6331 1.4061 0.0 0.0 -0.1 0.084
H -2.2794 -3.3081 -0.7949 0.1 0.3 0.4 0.095
H -3.7610 -1.7157 -1.2810 0.4 0.4 0.4 0.095
H 9.7409 -1.9735 -0.2226 0.0 -0.1 0.0 0.089
H 0.9364 -2.4587 3.0885 -0.4 -0.3 -0.4 0.096
H -1.8993 -2.1839 3.4100 0.3 -0.5 -0.1 0.053
H -4.6359 1.3284 0.3053 0.5 -0.4 0.1 0.102
H -0.7069 -2.8344 4.5497 -0.4 -0.2 -0.5 0.059
H -2.3551 1.6131 -0.4047 0.3 -0.3 0.7 0.082
H 3.6610 0.2886 0.8305 -0.4 0.5 -0.2 0.103
H -0.4753 2.5959 2.2724 0.1 0.4 -0.7 0.085
H 0.3207 -3.7444 2.0322 -0.2 0.5 0.0 0.096
H 3.5649 -1.6816 0.1600 -0.2 0.5 -0.4 0.075
H 1.8920 -1.5537 -0.4726 0.7 0.2 -0.2 0.070
H -3.6547 -1.2571 1.6440 0.3 0.1 -0.6 0.089
H -3.8436 4.6919 -2.0289 -0.1 0.0 -0.2 0.100
H 8.5753 -1.2477 0.9069 -0.1 0.0 -0.2 0.094
H -0.3457 -1.4506 -0.7794 -0.1 -0.2 0.6 0.088
H 3.8898 1.7130 -0.2444 -0.4 -0.4 -0.2 0.107
H -2.8926 3.5484 0.6326 0.1 -0.3 0.6 0.102
H -5.4006 4.4094 -4.0929 0.1 0.0 0.1 0.137
H 0.7319 -1.0693 1.3290 -0.8 -0.1 0.3 0.058
H -4.2256 1.8079 -2.9647 -0.1 0.0 0.0 0.161
H -2.9221 3.2838 -1.5492 0.2 0.0 -0.2 0.036
H 3.2565 -2.0713 -1.5382 -0.2 0.6 0.3 0.099
H -1.6081 0.7917 0.9714 -0.5 0.3 0.1 0.091
H -1.5822 -3.9738 3.4785 0.1 0.5 0.0 0.058
H 7.1225 -1.5405 -1.2299 0.1 0.0 0.1 0.144
H 8.3345 -4.1242 -0.0952 -0.1 0.0 -0.1 0.157
H -0.9720 4.2927 2.2273 0.0 -0.3 -0.7 0.096
H -0.0757 -3.1053 -0.1294 -0.2 0.6 0.0 0.100
H -4.9637 -1.0403 0.4752 0.6 0.1 0.3 0.100
H -0.9935 -0.9757 1.8836 0.6 -0.1 -0.4 0.095
H -2.7536 3.9048 -3.1924 0.0 -0.1 0.0 0.100
H -2.4899 -0.4972 -1.0627 0.0 -0.4 0.5 0.101
H -3.0593 2.8720 2.2731 0.7 0.0 -0.3 0.108
```
Forces are in eV/Å.

Computed properties:
Highest occupied orbital energy (Eh): -0.2096
Lowest unoccupied orbital energy (eV): 1.988
Multiplicity: 1
Total charge: -1


Density functional theory data (ωB97M-V/def2-TZVPD) for C7H15Cl3FNO4SSi as an isolated structure.

The geometry in XYZ format:
```
33
Properties=species:S:1:pos:R:3:forces:R:3:lowdin_charge:R:1
Cl 6.0443 -0.2210 -2.8401 0.0 0.0 0.0 0.533
Cl 3.2969 -1.1541 -2.9075 0.0 -0.2 -0.4 0.553
-- stop --
Assignment >
Next, reproduce the lines above up to the one that holds "-5.4006 4.4094", that line included.
Result >
Density functional theory data (ωB97M-V/def2-TZVPD) for C21H40NO11S2 as an isolated structure.

The geometry in XYZ format:
```
75
Properties=species:S:1:pos:R:3:forces:R:3:lowdin_charge:R:1
S -0.0201 3.7004 0.1171 1.0 2.7 -3.4 0.594
S 1.5633 1.4490 0.4671 -2.4 -0.9 0.2 0.632
O 0.1106 5.1944 0.0354 0.0 -2.5 1.1 -0.409
O 0.5969 0.6873 -0.3948 1.9 1.5 1.3 -0.379
O -5.6420 2.7929 -1.8422 -0.4 -0.1 -0.3 0.080
O -6.6400 2.7823 -3.8441 -0.1 0.0 0.1 0.056
O 3.1850 -0.0404 -1.1338 0.4 0.3 0.4 -0.194
O -0.7044 3.2293 -1.1199 0.5 -0.2 2.4 -0.383
O 1.4185 1.0670 1.9137 0.7 1.1 -2.0 -0.410
O -7.8545 2.3897 -1.9863 -0.1 0.0 0.0 0.152
O 4.6549 -3.6741 0.7303 0.1 -0.2 0.1 0.165
O 5.9332 -3.2109 -1.0632 0.1 0.0 0.2 0.062
O 6.8457 -3.2060 0.9809 -0.1 -0.1 -0.3 0.088
N 1.5484 3.1024 0.1935 -1.5 -1.9 0.9 -0.350
C 5.7073 -3.3936 0.2626 -0.3 -0.1 0.1 -0.561
C 3.2518 0.8322 -0.0462 0.3 0.3 0.3 -0.261
C -0.6246 -2.1467 0.0368 -0.6 -0.7 0.4 -0.210
C -1.1275 -2.9671 3.5295 0.8 0.1 0.1 -0.118
C -5.3274 3.3195 -4.0398 0.0 -0.1 -0.4 -0.105
C 7.9277 -3.1179 0.0481 0.7 0.4 0.2 -0.341
C 0.0522 -2.7741 2.4925 -0.4 0.5 0.7 -0.226
C -4.5926 2.8296 -2.8233 0.9 0.5 0.1 -0.325
C 9.0061 -2.1866 0.5550 0.0 -0.1 0.5 -0.025
C -2.4241 2.8479 1.3611 0.2 0.0 -1.1 -0.212
C -3.4619 3.7310 -2.3822 -0.2 -0.1 0.5 -0.013
C -6.8119 2.6305 -2.5054 0.0 -0.1 0.3 -0.565
C -2.1522 -2.4876 -0.0557 0.8 0.2 -0.9 -0.195
C 2.9619 -1.3811 -0.7208 -0.5 -1.0 0.0 -0.089
C -3.0534 -1.2868 -0.5356 -0.6 -1.2 1.0 -0.177
C -2.4628 1.4328 0.6874 -0.9 0.6 -0.6 -0.208
C 7.2304 -2.6281 -1.1922 0.0 0.0 -0.5 -0.100
C -3.9014 -0.7689 0.6818 -0.8 1.0 -0.8 -0.197
C -0.9798 3.3558 1.6350 -0.5 -0.8 1.1 -0.234
C -0.2130 -1.6320 1.4502 0.6 -0.7 -0.5 -0.216
C -3.8666 0.7807 0.8930 0.4 -0.1 1.0 -0.197
H -2.4553 -2.8895 0.9340 -0.2 0.3 -0.6 0.094
H -4.8957 2.9455 -4.9673 -0.2 -0.1 0.0 0.137
H -4.1497 0.9596 1.9610 0.0 -0.1 -0.6 0.100
H 7.7139 -2.9700 -2.1066 -0.2 -0.1 0.0 0.138
H 9.5229 -2.6331 1.4061 0.0 0.0 -0.1 0.084
H -2.2794 -3.3081 -0.7949 0.1 0.3 0.4 0.095
H -3.7610 -1.7157 -1.2810 0.4 0.4 0.4 0.095
H 9.7409 -1.9735 -0.2226 0.0 -0.1 0.0 0.089
H 0.9364 -2.4587 3.0885 -0.4 -0.3 -0.4 0.096
H -1.8993 -2.1839 3.4100 0.3 -0.5 -0.1 0.053
H -4.6359 1.3284 0.3053 0.5 -0.4 0.1 0.102
H -0.7069 -2.8344 4.5497 -0.4 -0.2 -0.5 0.059
H -2.3551 1.6131 -0.4047 0.3 -0.3 0.7 0.082
H 3.6610 0.2886 0.8305 -0.4 0.5 -0.2 0.103
H -0.4753 2.5959 2.2724 0.1 0.4 -0.7 0.085
H 0.3207 -3.7444 2.0322 -0.2 0.5 0.0 0.096
H 3.5649 -1.6816 0.1600 -0.2 0.5 -0.4 0.075
H 1.8920 -1.5537 -0.4726 0.7 0.2 -0.2 0.070
H -3.6547 -1.2571 1.6440 0.3 0.1 -0.6 0.089
H -3.8436 4.6919 -2.0289 -0.1 0.0 -0.2 0.100
H 8.5753 -1.2477 0.9069 -0.1 0.0 -0.2 0.094
H -0.3457 -1.4506 -0.7794 -0.1 -0.2 0.6 0.088
H 3.8898 1.7130 -0.2444 -0.4 -0.4 -0.2 0.107
H -2.8926 3.5484 0.6326 0.1 -0.3 0.6 0.102
H -5.4006 4.4094 -4.0929 0.1 0.0 0.1 0.137